+++
(1)
47
Properties=species:S:1:pos:R:3 method="wB97M-V/def2-TZVPD" total_charge=+2 multiplicity=1 homo_lumo_gap_ev=1.863 homo_ev=-15.005 largest_force_ev_per_a=3.918 total_energy_ev=-37436.3262 e_lumo_ev=-13.1
N 2.02141 -2.81756 2.28591
C 2.09918 -2.46419 0.84168
C 1.22431 -3.42070 0.00464
C 0.05311 -2.70577 -0.71244
C 0.62847 -1.87657 -1.88196
C -0.18501 -0.62082 -2.28426
C -0.64356 0.27214 -1.07903
C -2.09903 -0.15467 -0.83806
C -2.78852 0.50165 0.40234
C -3.47994 -0.60418 1.19773
F -2.53329 -1.43201 1.68229
F -4.35480 -1.26595 0.51339
F -4.04768 -0.06197 2.25651
O 0.24239 0.24376 0.06094
C 1.37344 0.83293 -0.47236
O 2.47008 0.64348 -0.15384
O 1.02931 1.66448 -1.50247
C -0.42045 1.75443 -1.43229
C -0.76136 2.82598 -0.35577
C 0.22510 4.04570 -0.32096
C 0.96161 4.07286 1.00128
N 2.10109 3.25094 1.29642
O 0.59799 4.77999 1.85339
H 1.08929 -2.57380 2.63792
H 2.65477 -2.17778 2.79674
H 1.81865 -1.39575 0.76021
H 3.15425 -2.58122 0.56972
H 0.77566 -4.13449 0.70788
H 1.81722 -3.96512 -0.73366
H -0.47540 -2.11976 0.04586
H -0.63630 -3.49010 -1.03677
H 0.62107 -2.53263 -2.75753
H 1.65957 -1.57168 -1.66463
H -1.09726 -0.97828 -2.76755
H 0.35057 -0.05541 -3.05064
H -2.21581 -1.23547 -0.75350
H -2.64105 0.14204 -1.73913
H -3.56741 1.17017 0.03159
H -2.10494 0.97112 1.10447
H -0.94749 2.10790 -2.31958
H -1.74761 3.23342 -0.59226
H -0.83064 2.42314 0.65776
H -0.38548 4.95118 -0.32143
H 0.88637 4.11916 -1.18855
H 1.81852 2.36023 1.70009
H 2.73411 3.72128 1.94237
Pt 3.55552 -3.85212 3.60755



(2)
28
Properties=species:S:1:pos:R:3 method="wB97M-V/def2-TZVPD" total_charge=0 multiplicity=1 homo_lumo_gap_ev=8.106 homo_ev=-8.096 largest_force_ev_per_a=4.425 total_energy_ev=-28477.5551 e_lumo_ev=0.0
C -1.69686 1.96656 -0.64013
C -0.74706 1.21001 -1.28358
C -1.58840 1.68585 0.72112
C -0.14557 0.44329 -0.27609
C 3.37010 0.43974 1.09100
C -3.01153 -1.03317 -0.12468
C 3.02943 1.06543 -0.29445
C -1.72447 -1.68944 -0.19934
N -0.51404 0.74316 1.01608
N -1.13930 -2.29504 0.80892
O 1.37030 -1.56690 0.38793
O 0.69860 -1.27069 -1.97174
O 2.49438 0.00931 -1.16838
S 1.11462 -0.63920 -0.72233
H -2.35188 2.70527 -0.96251
H -0.50766 1.08810 -2.32353
H -2.06574 2.06289 1.59693
H 3.71702 -0.53041 1.05867
H 4.07017 1.07806 1.50969
H 2.35252 0.38576 1.56010
H -2.77228 -0.12279 0.40231
H -3.57764 -1.63306 0.51391
H -3.45407 -0.83197 -1.14875
H 3.79109 1.64266 -0.93268
H 2.18095 1.76073 -0.08706
H -1.11606 -1.66073 -1.08316
H -0.14722 -2.53764 0.79215
H -1.62940 -2.47577 1.75962



(3)
21
Properties=species:S:1:pos:R:3 method="wB97M-V/def2-TZVPD" total_charge=0 multiplicity=1 homo_lumo_gap_ev=8.473 homo_ev=-7.930 largest_force_ev_per_a=0.355 total_energy_ev=-7482.6456 e_lumo_ev=0.5
C -1.30675 -0.96007 -0.52466
C -0.45119 0.29162 -0.76590
C -0.84547 1.60392 -0.17104
C -1.73196 1.52722 1.01047
C 1.03840 0.17097 -0.27379
C 1.17431 -0.24883 1.19295
C 1.85278 -0.76646 -1.16804
H -0.94905 -1.80367 -1.12608
H -2.34669 -0.77170 -0.81848
H -1.31697 -1.28049 0.52202
H -0.36402 0.44522 -1.85138
H 1.46683 1.17625 -0.37532
H -2.69686 1.81700 0.55163
H -1.52184 2.32726 1.72925
H -1.88719 0.56839 1.52830
H 2.22806 -0.21215 1.49167
H 0.82638 -1.27651 1.35183
H 0.61695 0.40547 1.87197
H 1.74577 -0.50636 -2.22654
H 2.91619 -0.69383 -0.91082
H 1.55230 -1.81325 -1.03800



(4)
17
Properties=species:S:1:pos:R:3 method="wB97M-V/def2-TZVPD" total_charge=+1 multiplicity=1 homo_lumo_gap_ev="7.394 / 7.393" homo_ev="-13.271 / -13.271" largest_force_ev_per_a=3.815 total_energy_ev=-8874.9457 e_lumo_ev="-5.9 / -5.9"
C 0.36981 1.67514 -0.16241
C 1.50049 0.92564 -0.02175
C -0.93642 1.02220 -0.06517
C 1.77407 -0.41097 -0.42474
C -1.81855 -1.39660 -0.16478
N -0.86199 -0.37035 0.29263
O 2.71075 -1.10225 0.13274
H 0.52699 2.77243 0.20221
H 2.35374 1.34267 0.48393
H -1.52488 1.62367 0.57757
H -1.37043 1.16194 -1.06651
H 1.18182 -0.96486 -1.17832
H -2.25362 -1.21322 -1.11898
H -1.26643 -2.38001 -0.36822
H -2.74303 -1.54600 0.57277
H -0.81088 -0.48635 1.37839
H 3.16856 -0.65308 0.93064



(5)
67
+++

Next, work out how many lines above have the word "def2-TZVPD" in them; a number is enough.

4